_Entries_
-- begin --
Entry 1:
A geometry-optimized Cs2ZnI2 structure. Source: Alexandria, functional PBE.

Results
polymorph energy (0 for the lowest one): 0.006 eV per atom
total moment: 0.000 μB/f.u.
symmetry: No. 139
DOS(E_F): 0.000 states/eV/atom
formation energy from raw total energies: -922.0 meV per atom

abc: 7.452 7.452 9.071
angles: 65.75 65.75 90.00
Positions (direct):
1 Cs 0.293 0.293 0.415
2 Cs 0.707 0.707 0.585
3 I 0.750 0.250 0.500
4 I 0.250 0.750 0.500
5 Zn 0.000 0.000 0.000



Entry 2:
A geometry-optimized YTcNi structure. Source: Alexandria, functional PBE.

Results
polymorph energy (0 for the lowest one): 0.614 eV per atom
total moment: 0.000 μB/f.u.
symmetry: No. 156
DOS(E_F): 1.290 states/eV/atom

abc: 3.163 3.163 6.273
angles: 90.00 90.00 120.00
Positions (direct):
1 Ni 0.000 0.000 0.030
2 Tc 0.667 0.333 0.302
3 Y 0.333 0.667 0.668



Entry 3:
A geometry-optimized BeCrPd2 structure. Source: Alexandria, functional PBE.

Results
total energy: -24.491 eV per cell
total moment: 1.173 μB/f.u.
symmetry: No. 123
DOS(E_F): 0.854 states/eV/atom

abc: 2.720 2.720 6.763
angles: 90.00 90.00 90.00
Each line ends with the local moment (μB).
Positions (direct):
1 Cr 0.500 0.500 0.500  1.07
2 Pd 0.000 0.000 0.782  0.04
3 Pd 0.000 0.000 0.218  0.04
4 Be 0.500 0.500 0.000  -0.01



Entry 4:
A geometry-optimized SrNiP2 structure. Source: Alexandria, functional PBE.

Results
total energy: -17.891 eV per cell
total moment: 0.000 μB/f.u.
symmetry: No. 65
DOS(E_F): 0.900 states/eV/atom

abc: 4.318 4.318 3.984
angles: 90.00 90.00 96.69
Positions (direct):
1 Ni 0.000 0.500 0.500
2 P 0.000 0.000 0.000
3 P 0.500 0.500 0.000
4 Sr 0.500 0.000 0.500



Entry 5:
A geometry-optimized Pu4Sb2Au structure. Source: Alexandria, functional PBE.

Results
total moment: 24.234 μB/f.u.
symmetry: No. 122
DOS(E_F): 4.348 states/eV/atom
formation energy from raw total energies: -476.7 meV per atom

abc: 7.970 7.970 7.970
angles: 70.37 70.61 109.39
Each line ends with the local moment (μB).
Positions (direct):
1 Pu 0.753 0.036 0.367  5.58
2 Pu 0.747 0.532 0.370  5.58
3 Pu 0.097 0.214 0.532  5.58
4 Pu 0.403 0.367 0.880  5.58
5 Pu 0.253 0.883 0.214  5.58
6 Pu 0.903 0.370 0.883  5.58
7 Pu 0.597 0.718 0.036  5.58
8 Pu 0.247 0.880 0.718  5.58
9 Sb 0.131 0.506 0.125  -0.11
10 Sb 0.631 0.125 0.744  -0.11
11 Sb 0.869 0.744 0.625  -0.11
12 Sb 0.369 0.625 0.506  -0.11
13 Au 0.500 0.250 0.250  0.11
14 Au 0.000 0.000 0.000  0.11



Entry 6:
A geometry-optimized Cs2LiZrSe4 structure. Source: Alexandria, functional PBE.

Results
total moment: 0.000 μB/f.u.
symmetry: No. 74
DOS(E_F): 0.324 states/eV/atom
formation energy from raw total energies: -1094.8 meV per atom

abc: 9.151 9.151 8.002
angles: 115.92 115.92 94.60
Positions (direct):
1 Cs 0.500 0.000 0.000
2 Cs 0.500 0.000 0.500
3 Cs 0.000 0.000 0.500
4 Cs 0.500 0.500 0.000
5 Li 0.500 0.500 0.500
6 Li 0.000 0.000 0.000
7 Zr 0.000 0.500 0.000
8 Zr 0.000 0.500 0.500
9 Se 0.197 0.692 0.944
10 Se 0.808 0.303 0.556
11 Se 0.192 0.697 0.444
12 Se 0.803 0.308 0.056
13 Se 0.795 0.705 0.928
14 Se 0.795 0.705 0.572
15 Se 0.205 0.295 0.428
16 Se 0.205 0.295 0.072



Entry 7:
A geometry-optimized Pr8Si3RhBr4 structure. Source: Alexandria, functional PBE.

Results
total moment: 0.000 μB/f.u.
symmetry: No. 12
DOS(E_F): 0.658 states/eV/atom
formation energy from raw total energies: -1044.4 meV per atom

abc: 8.593 8.915 8.596
angles: 118.84 119.99 90.00
Positions (direct):
1 Pr 0.232 0.707 0.974
2 Pr 0.233 0.708 0.467
3 Pr 0.262 0.286 0.524
4 Pr 0.742 0.707 0.974
5 Pr 0.258 0.293 0.026
6 Pr 0.738 0.714 0.476
7 Pr 0.767 0.292 0.533
8 Pr 0.768 0.293 0.026
9 Si 0.500 0.500 0.000
10 Si 0.500 0.500 0.500
11 Si 0.000 0.500 0.500
12 Rh 0.000 0.500 0.000
13 Br 0.500 0.000 0.000
14 Br 0.500 0.000 0.500
15 Br 0.000 0.000 0.000
16 Br 0.000 0.000 0.500



Entry 8:
A geometry-optimized AgH structure. Source: Alexandria, functional PBE.

Results
polymorph energy (0 for the lowest one): 0.022 eV per atom
total moment: 0.000 μB/f.u.
symmetry: No. 223
-- stop --

_Request_
Say how many lines of the entries above hold the word "AgH", as a bare number.

_Result_
1